26 April 2023

Achieve Sustainable Development With Strong ESG Framework

By Dr Komathi Wasudawan, Dr Ee Yaw Seng and Irving SH Ting
Sustainable Dev and ESG Framework

Responsible Consumption and Production can help achieve Sustainable Development

In 2015, the United Nations (UN) established the Sustainable Development Goals (SDG). Among the 17 goals were responsible production and consumption.

Sustainable Development and Responsible Production

Responsible production means producing goods and services with minimal environmental and social impacts. It also aims to achieve the sustainable development needs of present and future generations. It involves taking a comprehensive approach to a product’s lifecycle, in which producers need to be accountable and aware of such production needs. Yet, it is rare to see such responsible producers in Malaysia.

For example, a big pack for only 200 g of potato chips is a marketing gimmick. This packaging may attract customers, but it needs to change to save resources. The packaging needs to fit the grammage of the product. This can reduce single-use trash and ought to apply to producers worldwide.

Sustainable Development and Responsible Consumption

Meanwhile, responsible consumption is the responsibility of consumers. It involves the purchasing, using, disposing of, and recycling of consumer products. Consumers need to make informed choices and be mindful of consumption patterns.

# Here the text breaks off for calculated crystals
<<<
Density functional theory data (GGA-PBE) for a relaxed PaCo8B4 crystal.

Results
density of states at the Fermi level: 1.03 states/eV/atom
space group: I4/mmm, No. 139
E_tot: -95.25 eV/f.u.
crystal system: tetragonal
total magnetization: 0.00 μB per atom
DFT formation energy: -211.8 kJ/mol of formula units

Cell lengths 4.4339, 5.8012, 5.8012 Å; angles 81.60, 67.53, 67.53 degrees
Sites, in units of the cell vectors:
Co 0.0000 0.3408 0.6592
B 0.5000 0.5000 0.0000
Co 0.5000 0.2290 0.7710
Co 0.3408 0.6592 0.6592
B 0.0000 0.5000 0.0000
Co 0.0000 0.6592 0.3408
Co 0.6592 0.3408 0.3408
Co 0.5000 0.7710 0.2290
B 0.0000 0.0000 0.5000
Co 0.7290 0.7710 0.7710
B 0.5000 0.0000 0.5000
Co 0.2710 0.2290 0.2290
Pa 0.0000 0.0000 0.0000

~~~~~

A plane-wave DFT calculation with PBE was carried out for a relaxed BaPmSeO6 crystal.

Results
**Crystal system**: trigonal
**Calculated volume**: 154.4 Å³/cell
**Magnetic moment**: 1.1 μB/cell
**ΔE_f (raw)**: -170.6 kJ/mol of atoms
**SG**: P312 (149)

```
data_BaPmSeO6
_chemical_formula_sum 'Ba1 Pm1 Se1 O6'
_symmetry_space_group_name_H-M 'P 1'
_symmetry_Int_Tables_number 1
_cell_length_a 5.685
_cell_length_b 5.685
_cell_length_c 5.515
_cell_angle_alpha 90.00
_cell_angle_beta 90.00
_cell_angle_gamma 120.00
loop_
_symmetry_equiv_pos_as_xyz
'x,y,z'
loop_
_atom_site_label
>>>

Companies can support this by developing and implementing policies that address environmental issues. These include climate change, sustainable resource use, waste management, and deforestation. These policies should guide decision-making and ensure that consumption processes are responsible. It also needs to advocate for accountability for its actions.

For example, ban single-use plastics and encourage the use of recycled bags. Companies can also provide shape-specific recycling bins. Instead of buying new consumer goods, consider reusing or repairing them. Another initiative is using the Green Window delivery system. This system encourages the use of delivery trucks already in your area. it also ensures lower fuel emissions.

Environmental, Social, and Governance (ESG) Framework

Achieving SDG No. 12 requires the cooperation and support of all stakeholders. This only happens if we adopt and practise responsible consumption and production principles. It is also connected to the Environmental, Social, and Governance (ESG) framework. ESG evaluates a company’s environmental, social, and governance performance.

In the ESG framework, the environmental factors include a company’s environmental impact. It also includes responsible production that minimises adverse environmental effects. The social factors cover social impacts such as labour practices and human rights. Finally, the governance factor encompasses the company’s corporate governance practices.

== Here the article breaks off for data records ==
/*
1.
## NaTiPO5 (PBE)

Data for an optimized crystal structure of NaTiPO5.

Summary:
uncorrected energy	-479.470	eV/cell
size of the total moment	0.000	μB/f.u.
polymorph energy (0 for the lowest one)	0.0000	eV per atom

a b c (Å): 8.828 10.668 9.251
angles (deg): 90.00 90.02 90.00
Fractional coordinates of all 64 atoms:
Na: 0.036 0.000 0.293
Na: 0.228 0.200 0.980
Na: 0.250 0.631 0.354
Na: 0.461 0.785 0.697
Na: 0.539 0.285 0.303
Na: 0.750 0.131 0.646
Na: 0.772 0.700 0.020
Na: 0.964 0.500 0.707
Ti: 0.117 0.755 0.856
Ti: 0.124 0.026 0.651
Ti: 0.381 0.266 0.647
Ti: 0.393 0.527 0.868
Ti: 0.607 0.027 0.132
Ti: 0.619 0.766 0.353
Ti: 0.876 0.526 0.349
Ti: 0.883 0.255 0.144
P: 0.074 0.272 0.449
P: 0.087 0.500 0.057
P: 0.408 0.782 0.062
P: 0.424 0.022 0.441
P: 0.576 0.522 0.559
P: 0.592 0.282 0.938
P: 0.913 0.000 0.943
P: 0.926 0.772 0.551
O: 0.001 0.171 0.548
O: 0.003 0.402 0.478
O: 0.004 0.591 0.950
O: 0.039 0.363 0.030
O: 0.049 0.229 0.290
O: 0.052 0.542 0.215
O: 0.195 0.890 0.755
O: 0.235 0.777 0.036
O: 0.247 0.284 0.477
O: 0.252 0.013 0.471
O: 0.255 0.144 0.728
O: 0.255 0.643 0.783
O: 0.261 0.507 0.038
O: 0.314 0.392 0.765
O: 0.435 0.746 0.223
O: 0.447 0.059 0.281
O: 0.463 0.916 0.028
O: 0.494 0.893 0.477
O: 0.496 0.689 0.963
O: 0.499 0.626 0.466
O: 0.501 0.126 0.534
O: 0.504 0.189 0.037
O: 0.506 0.393 0.523
O: 0.537 0.416 0.972
O: 0.553 0.559 0.719
O: 0.565 0.246 0.777
O: 0.686 0.892 0.235
O: 0.739 0.007 0.962
O: 0.745 0.143 0.217
O: 0.745 0.644 0.272
O: 0.748 0.513 0.529
O: 0.753 0.784 0.523
O: 0.765 0.277 0.964
O: 0.805 0.390 0.245
O: 0.948 0.042 0.785
O: 0.951 0.729 0.710
O: 0.961 0.863 0.970
O: 0.996 0.091 0.050
O: 0.997 0.902 0.522
O: 0.999 0.671 0.452


2.
## NaTiPO5 (PBE)

Data for an optimized crystal structure of NaTiPO5.

Summary:
uncorrected energy	-239.182	eV/cell
size of the total moment	0.000	μB/f.u.
polymorph energy (0 for the lowest one)	0.0173	eV per atom

a b c (Å): 7.515 6.537 7.839
angles (deg): 90.00 90.00 90.00
Fractional coordinates of all 32 atoms:
Na: 0.000 0.000 0.000
Na: 0.000 0.500 0.000
Na: 0.500 0.000 0.500
Na: 0.500 0.500 0.500
Ti: 0.167 0.250 0.286
Ti: 0.333 0.750 0.786
Ti: 0.667 0.250 0.214
Ti: 0.833 0.750 0.714
P: 0.123 0.750 0.395
P: 0.377 0.250 0.895
P: 0.623 0.750 0.105
P: 0.877 0.250 0.605
O: 0.057 0.250 0.509
O: 0.106 0.750 0.829
O: 0.136 0.559 0.278
O: 0.136 0.941 0.278
O: 0.219 0.250 0.024
O: 0.281 0.750 0.524
O: 0.364 0.059 0.778
O: 0.364 0.441 0.778
O: 0.394 0.250 0.329
O: 0.443 0.750 0.009
O: 0.557 0.250 0.991
O: 0.606 0.750 0.671
O: 0.636 0.559 0.222
O: 0.636 0.941 0.222
O: 0.719 0.250 0.476
O: 0.781 0.750 0.976
O: 0.864 0.059 0.722
O: 0.864 0.441 0.722
O: 0.894 0.250 0.171
O: 0.943 0.750 0.491


3.
## Na3TiP2O8 (PBE)

Data for an optimized crystal structure of Na3TiP2O8.

Summary:
uncorrected energy	-94.821	eV/cell
size of the total moment	1.000	μB/f.u.

a b c (Å): 5.361 5.361 6.762
angles (deg): 90.00 90.00 120.00
Fractional coordinates of all 14 atoms:
Na: 0.000 0.000 0.000
Na: 0.333 0.667 0.687
*/

A company that enforces and practises responsible production can improve its ESG rating. Responsible consumption and production help establish a system that helps achieve sustainable development for society, It is important when evaluating the environmental, social, and governance aspects of a company. These practices contribute to a company’s sustainability while mitigating climate change.

• Materials data, kept here for reference:
Material: BeIBrO2
Method: DFT, PBE
State: optimized geometry

## Properties
Spin magnetization: 0.00 μB/f.u.
Space-group type: No. 123
Energy relative to the elements, uncorrected: 0.65 eV/atom
Energy above the most stable polymorph in this dataset: 478 meV/atom

Lattice parameters (Å, degrees): 3.841 3.841 7.450 90.00 90.00 90.00
Positions (direct):
Br: 0.000 0.000 0.000
Be: 0.500 0.500 0.500
O: 0.500 0.000 0.000
O: 0.000 0.500 0.000
I: 0.000 0.000 0.500


(1)
Computed, not measured: an optimized crystal structure of TbYHo6Sc2 at the GGA-PBE level of DFT.

Results
E_form = 11.8 kJ/mol of atoms
calculated volume = 607.6 Å³/cell

The structure in POSCAR format:
```
TbYHo6Sc2
1.0
4.4477 -7.3707 0.0000
4.4477 7.3707 0.0000
-1.1117 0.0000 9.2677
Tb Y Ho Sc
2 2 12 4
direct
0.0918 0.9082 0.7500 Tb
0.9082 0.0918 0.2500 Tb
0.4744 0.5256 0.2500 Y
0.5256 0.4744 0.7500 Y
0.0023 0.7948 0.3823 Ho
0.0635 0.5199 0.1814 Ho
0.2052 0.9977 0.1177 Ho
0.2556 0.6213 0.5541 Ho
0.3787 0.7444 0.9459 Ho
0.4801 0.9365 0.3186 Ho
0.5199 0.0635 0.6814 Ho
0.6213 0.2556 0.0541 Ho
0.7444 0.3787 0.4459 Ho
0.7948 0.0023 0.8823 Ho
0.9365 0.4801 0.8186 Ho
0.9977 0.2052 0.6177 Ho
0.1943 0.3045 0.9539 Sc
0.3045 0.1943 0.4539 Sc
0.6955 0.8057 0.5461 Sc
0.8057 0.6955 0.0461 Sc
```

***

(2)
Computed, not measured: an optimized crystal structure of TmCoP at the GGA-PBE level of DFT.

Results
E_form = -76.6 kJ/mol of atoms
calculated volume = 54.1 Å³/cell

The structure in POSCAR format:
```
TmCoP
1.0
1.8803 1.0856 4.4136
-1.8803 1.0856 4.4136
0.0000 -2.1712 4.4136
Tm Co P
1 1 1
direct
0.0000 0.0000 0.0000 Tm
0.5098 0.5098 0.5098 Co
0.2060 0.2060 0.2060 P
```

***

(3)
Computed, not measured: an optimized crystal structure of Ac2SiF at the GGA-PBE level of DFT.

Results
energy above the lowest structure with this stoichiometry = 80.4 meV per atom
calculated volume = 141.5 Å³/cell
formation energy (no corrections) = -1.438 eV/atom

The structure in POSCAR format:
```
Ac2SiF
1.0
2.1894 1.2641 8.5215
-2.1894 1.2641 8.5215
0.0000 -2.5281 8.5215
Ac Si F
2 1 1
direct
0.0000 0.0000 0.0000 Ac
0.1918 0.1918 0.1918 Ac

The opinions expressed in this article are the author’s own and do not reflect the view of Swinburne University of Technology Sarawak Campus. Dr Komathi Wasudawan, Dr Ee Yaw Seng and Irving SH Ting are with the Faculty of Business, Design and Arts. They are contactable at KWasudawan@swinburne.edu.my, yee@swinburne.edu.my and ithui@swinburne.edu.my